God and His Pollinators
This morning I took some extra time in nature to learn about our nature as human beings. My husband came in from working outside early this morning and suggested I go down to the cedar circle because there were lots of flowers in bloom and the temperature was a cool 79 degrees F. In the process, I learned something from the flowers and the pollinators about who we are as children of God.

== Unrelated to this text: calculated crystals ==
+++
This entry pairs a crystal structure of RbFe2I2Br6 with its theoretical powder diffractogram. Radiation: CuKα. Structure: a cell relaxed with PBE.
No peak broadening, texture or thermal motion is included.

The 6 most intense peaks (15° ≤ 2θ ≤ 90°), by intensity:
2θ/deg, d_spacing, Rel. int., (hkl)
29.49, 3.029, 100, 2 -1 2
25.77, 3.457, 78, 1 1 1
16.24, 5.458, 64, 1 0 1
41.52, 2.175, 39, 1 1 4
28.46, 3.136, 32, 0 1 3
24.64, 3.613, 30, 0 0 3

Structural model:
```
data_RbFe2I2Br6
_chemical_formula_sum 'Rb1 Fe2 I2 Br6'
_space_group_name_H-M_alt 'P -3'
_space_group_IT_number 147
_cell_length_a 7.2958
_cell_length_b 7.2958
_cell_length_c 10.8377
_cell_angle_alpha 90.00
_cell_angle_beta 90.00
_cell_angle_gamma 120.00
loop_
_space_group_symop_operation_xyz
'x,y,z'
'-x,-y,-z'
'-y,x-y,z'
'y,-x+y,-z'
'-x+y,-x,z'
'x-y,x,-z'
loop_
_atom_site_label
_atom_site_fract_x
_atom_site_fract_y
_atom_site_fract_z
Rb1 0.0000 0.0000 0.0000
Fe1 0.3333 0.6667 0.7409
I1 0.3333 0.6667 0.5079
Br1 0.0035 0.6025 0.8107
```

This entry pairs a crystal structure of LiFeAu2 with its theoretical powder diffractogram. Radiation: CuKα. Structure: a cell relaxed with PBE.
No peak broadening, texture or thermal motion is included.

The 6 most intense peaks (15° ≤ 2θ ≤ 90°), by intensity:
2θ/deg, d_spacing, Rel. int., (hkl)
26.83, 3.323, 100, 0 1 1
38.98, 2.311, 96, 1 1 0
39.59, 2.276, 73, 0 1 2
16.38, 5.412, 53, 0 0 1
36.50, 2.461, 46, 1 0 1
47.00, 1.933, 44, 1 0 2

Structural model:
```
data_LiFeAu2
_chemical_formula_sum 'Li1 Fe1 Au2'
_space_group_name_H-M_alt 'P m m 2'
_space_group_IT_number 25
_cell_length_a 2.764
_cell_length_b 4.211
_cell_length_c 5.412
_cell_angle_alpha 90.00
_cell_angle_beta 90.00
_cell_angle_gamma 90.00
loop_
_space_group_symop_operation_xyz
'x,y,z'
'-x,-y,z'
'-x,y,z'
'x,-y,z'
loop_
_atom_site_label
_atom_site_fract_x
_atom_site_fract_y
_atom_site_fract_z
Li1 0.000 0.000 0.000
Fe1 0.500 0.500 0.699
Au1 0.000 0.000 0.516
Au2 0.500 0.500 0.186
```

This entry pairs a crystal structure of SrCuSbSe3 with its theoretical powder diffractogram. Radiation: CuKα. Structure: a cell relaxed with PBE.
No peak broadening, texture or thermal motion is included.

The 6 most intense peaks (15° ≤ 2θ ≤ 90°), by intensity:
2θ/deg, d_spacing, Rel. int., (hkl)
30.23, 2.956, 100, 2 1 0
30.39, 2.942, 84, 2 1 -1
30.52, 2.929, 54, 0 0 3
37.26, 2.413, 47, 1 1 -3
43.98, 2.059, 41, 0 2 0
41.49, 2.176, 32, 4 0 -1

Structural model:
```
data_SrCuSbSe3
_chemical_formula_sum 'Sr2 Cu2 Sb2 Se6'
_space_group_name_H-M_alt 'P 1 21/m 1'
_space_group_IT_number 11
_cell_length_a 8.708
_cell_length_b 4.118
_cell_length_c 9.008
_cell_angle_alpha 90.00
_cell_angle_beta 102.74
_cell_angle_gamma 90.00
loop_
_space_group_symop_operation_xyz
'x,y,z'
'-x,-y,-z'
'-x,y+1/2,-z'
'x,-y+1/2,z'
loop_
_atom_site_label
_atom_site_fract_x
_atom_site_fract_y
_atom_site_fract_z
Sr1 0.177 0.250 0.244
Cu1 0.073 0.250 0.577
Sb1 0.334 0.750 0.842
Se1 0.109 0.250 0.870
Se2 0.219 0.750 0.514
Se3 0.432 0.750 0.168
```
+++

We have a cedar circle on our property, which is a circular grove of junipers with a sitting area inside it. Native Americans believed that cedar circles were sacred. They believed that cedars are medicinal (or healing) and that the ancestors lived among the cedars.
On the way to the cedar circle, I spotted some interesting fungi growing in a pile of woodchips. Anytime I see mushrooms / fungi, I think of my son Joshua. He is a microbiologist who has taken a “lichen” to “fungi.” I always have to take a photo of any mushrooms or fungi I see and text it to Josh to let him know I love him and am thinking of him. And, yes, Josh is a “fun-guy!” 🙂
Why Native Wildflowers Are So Important
As I made my way down the short path to the cedar circle, I saw the beautiful flowers in bloom. We have spurred butterfly pea, lespedeza violacea (aka wand lespedeza), and sawtooth sunflowers. Each of these are native plants to North America. The beauty of native plants is that pollinators love them. Non-native plants tend to be invasive and local pollinators don’t know what to do with them. Pollinators’ bodies aren’t adapted to consume non-native plants, so this means they are useless in attracting pollinators. Worse, their invasive nature crowds out the native plants and takes over.
The more you attract pollinators to your property by feeding them native plants, the more they’ll pollinate the things you want pollinated – like your vegetables and fruits. Having native plants also supports the ecosystem of the world because pollinators are critical to everything. Without pollinators, nothing grows. Life depends upon pollinators.

Cedar Circle
I took my study materials with me and spent an hour continuing research I’m doing on the nature of our souls – awareness, intelligence, light and truth. The cedar circle was even cooler than the 79 degrees with the shade. It was a perfect place to read, ponder and journal.

During my study, this verse stood out to me:
“He (God) comprehendeth all things, and all things are before him, and all things are round about him; and he is above all things, and in all things, and is through all things, and is round about all things; and all things are by him, and of him, even God, forever and ever.”
Doctrine & Covenants 88:41
As I spend time in nature, I feel and sense this truth that God truly is in, through, and round about all things. All things are by Him and of Him! One cannot look at a flower, a sunburst, or the tiniest of creatures and not see our Creator’s miraculous power on display. Not only is God inside nature, He is within us! At the core, we have a divine nature. Unfortunately, we let distractions keep us from noticing or even discovering this. If we do discover and know of our divine nature, we let thoughts, other people, entertainment and our busy lives keep us from living from that centered divine space.

You Are a Pollinator Too!
Another verse that stood out to me was:
For intelligence cleaveth unto intelligence; wisdom receiveth wisdom; truth embraceth truth; virtue loveth virtue; light cleaveth unto light; mercy hath compassion on mercy and claimeth her own; justice continueth its course and claimeth its own; judgment goeth before the face of him who sitteth upon the throne and governeth and executeth all things.”
Doctrine & Covenants 88:41
As you go through life, you will be drawn to different things. You’ll have an inexplicable pull to learn about one topic or another. Perhaps you’ll feel drawn to certain people, different hobbies, organizations, and pursuits. The things that resonate with you are brought to you because you are in alignment with them. Your intelligence is drawn to the intelligence within other things. Your inner wisdom is drawn to the wisdom you need next. The light inside you is drawn to the light found in what you are attracted to.
Sometimes you may feel like you’re flitting from one thing to the next and accomplishing little. But know this: while you follow the light (the truth and intelligence) you are attracted to, you are pollinating the world!
Just like this tiny pollinator I photographed (which is carrying pollen all over its body) you are quite literally carrying important “pollen” to everyone and everything you encounter. It’s not so much about what you are doing, but who you are BEING while you show up in the world. That is what matters most!

The video below is music I created and set to photos I’ve taken over the last couple weeks. I hope you enjoy it.